When it comes to improving an efficiency ratio, a metric that reveals how much money a credit union spends to earn one dollar of revenue,there are really just two ways an institutiin can go. It can cut costs, which can affect service quality, or it can increase revenue. That’s the path Maroon Financial Credit Union ($40M,Chicago, IL) chose.
After the financial crisis, the credit union faced a tenuous economic climate. Institutions around the country cut expenses drastically to improve their balance sheets, and many smallercredit unions that couldn’t survive independently merged with larger institutions. Maroon Financial, though, invested in itself, increased its mortgage originations, and eventually grew its assets. Today, Maroon Financial has an efficiency ratio of 75.47%, which is down a staggering 24 percentage points in just 12 months from 99.33% at year-end 2011.
DATA AS OF DECEMBER 31, 2012 | www.creditunions.com
Generated by Callahan & Associates’Peer-to-Peer Software.
- - -
[1]
DFT (ωB97M-V/def2-TZVPD) results for a cluster of 10 separate species, C54H124N4O10 in total at a distorted geometry.

Calculated values
LUMO: 0.3 eV
E: -3103.133737 Ha
SMILES string: CC1(C)CCCC(C)(C)N1O.CC1(C)CCCC(C)(C)N1O.CC1(C)CCCC(C)(C)N1O.CC1(C)CCCC(C)(C)N1O.CC(C)O.CC(C)O.CC(C)O.CC(C)O.CC(C)O.CC(C)O
HOMO level: -8.17 eV
orbital gap: 8.5081 eV

Structure (ORCA input):
```
! RIJCOSX wB97M-V def2-TZVPD def2/J DEFGRID3
* xyz 0 1
C -21.6011 16.1284 -12.1232
C -20.9074 15.0095 -11.3215
C -20.6214 15.4853 -9.9013
C -21.8479 13.8068 -11.1736
C -21.9451 12.9533 -12.4359
C -20.5442 12.5404 -12.8569
C -19.5560 13.6802 -13.0865
C -18.1490 13.1068 -13.0865
C -19.8467 14.3655 -14.4473
N -19.6711 14.5823 -11.9475
O -18.7802 15.6862 -12.0742
H -21.1582 17.0890 -11.8354
H -21.4341 16.0448 -13.1929
H -22.6615 16.2462 -11.8908
H -20.0034 14.7384 -9.4009
H -20.1872 16.4842 -9.9351
H -21.5641 15.5095 -9.3526
H -21.5398 13.1488 -10.3543
H -22.8337 14.2085 -10.9274
H -22.5183 12.0450 -12.2539
H -22.3981 13.5448 -13.2378
H -20.5860 11.9062 -13.7519
H -20.0889 11.8678 -12.1182
H -18.0249 12.4122 -13.9130
H -17.9642 12.6215 -12.1242
H -17.4402 13.9347 -13.1287
H -19.6062 15.4267 -14.4378
H -20.9159 14.2913 -14.6648
H -19.3156 13.8530 -15.2485
H -18.1889 15.5744 -11.3224
C -14.6841 11.9165 -3.5184
C -14.1384 13.3304 -3.6864
C -13.8292 13.5577 -5.1744
C -15.2555 14.2688 -3.2679
C -14.7975 15.6929 -3.0184
C -13.5749 15.7539 -2.1074
C -12.4473 14.7742 -2.4167
C -11.4855 15.3513 -3.4675
C -11.6415 14.5920 -1.1185
N -13.0265 13.4917 -2.7806
O -11.9958 12.5513 -3.0778
H -15.4383 11.7209 -4.2816
H -13.9172 11.1483 -3.6338
H -15.1208 11.8029 -2.5263
H -14.7594 13.5424 -5.7401
H -13.2991 14.4860 -5.3751
H -13.1535 12.7701 -5.5182
H -16.0518 14.2347 -4.0145
H -15.7765 13.9041 -2.3699
H -14.5370 16.1142 -3.9991
H -15.6237 16.2885 -2.6296
H -13.9136 15.6556 -1.0776
H -13.1996 16.7737 -2.2365
H -11.9499 15.5089 -4.4413
H -10.7053 14.6096 -3.6544
H -11.0446 16.2839 -3.1232
H -11.1148 13.6373 -1.1060
H -12.3107 14.5423 -0.2531
H -10.9365 15.4009 -0.9373
H -12.1321 11.8691 -2.4127
C -16.4966 10.0526 -10.3545
C -17.6022 9.7358 -9.3252
C -18.6410 10.8403 -9.4202
C -18.2875 8.4433 -9.7413
C -17.4918 7.1825 -9.4281
C -17.2437 7.1759 -7.9189
C -16.5272 8.4027 -7.3887
C -16.6554 8.4313 -5.8757
C -15.0493 8.3140 -7.7770
N -17.1853 9.5864 -7.9435
O -16.5365 10.7707 -7.4966
H -16.9072 9.9212 -11.3581
H -16.1014 11.0631 -10.2658
H -15.6679 9.3491 -10.2984
H -18.2614 11.8083 -9.0805
H -19.0777 10.9516 -10.4102
H -19.4501 10.6360 -8.7047
H -19.2784 8.3645 -9.2785
H -18.5017 8.4744 -10.8152
H -18.0828 6.3039 -9.6805
H -16.5436 7.1873 -9.9669
H -16.6511 6.2913 -7.6568
H -18.2055 7.0267 -7.4135
H -15.9535 9.1371 -5.4338
H -16.5636 7.4208 -5.4814
H -17.6419 8.8136 -5.5844
H -14.4547 9.1458 -7.3900
H -14.8843 8.3116 -8.8503
H -14.5949 7.4054 -7.3695
H -17.0238 10.9954 -6.6966
C -15.5639 16.4458 0.9609
C -16.3027 15.3283 1.6833
C -15.6672 15.1245 3.0601
C -17.7403 15.8143 1.8766
- - -
After the credit crisis, we realized we couldn’t survive by cutting costs, says Cristian Hernandez, CEO of Maroon Financial, which has only one branch and 12 employees. There really weren’t many places to cut. But increasingour size created economies of scale that allowed us to offer new and better products and more efficiently structure offerings to our members.
A Difficult Decision
In hindsight that decision might seem like a no-brainer, but in 2008 Maroon Financial was a $15 million institution, nearly two-thirds smaller than it is today. It couldn’t afford to make any mistakes, but the alternative to investment was grim. Watching from the sidelines, Hernandez could see what was happening to other small players in the market.
Many were going to end up having to merge, and we didn’t want that to be our fate, he says. We needed to make sure our franchise was as strong as ever.
In one respect, the credit union had an advantage. Maroon Financial is a single-sponsor credit union serving about 5,600 members at the University of Chicago Medical Center. That relationship bought the credit union some time so that it could pursue its strategy for growth.
We were shielded from a lot in 2007 and 2008 because our sponsor is pretty strong and economically stable, Hernandez says. Had it been a steel mill or a manufacturing company, we would have been in trouble.
Byinvesting in its infrastructure, products, services, and people, Maroon Financial hoped to be in a stronger position to expand when the economy recovered. Because mortgage origination was Maroon Financial’s main revenue source, that was the obvious place to invest. Plus, it was logical to assume that one employee could handle $400,000 in loans just as easily as $100,000.
DATA AS OF DECEMBER 31, 2012 | www.creditunions.com
Generated by Callahan & Associates’Peer-to-Peer Software.
In the past, Maroon Financial had acted as a broker for several mortgage wholesalers in the country. The mortgage originations brought in good income about 1 percentage point per loan but the credit union’s leadership saw several weaknesses in the mortgage arena. Once the loan was originated, for instance, the credit union lost control of the member relationship because the usual servicer of those mortgages was almost always a big bank, which then would target Maroon Financial’s own members for new products and services.
We realized that in order to better compete we had to service our own mortgage loans even if we were to sell them, Hernandez says. We became members of the Federal Home Loan Bank of Chicago. The relationship allowed us to retain complete control of the transaction for the life of the loan without carrying the interest rate risk associated with a mortgage loan.
Staying The Course
But the strategy was not a quick fix. It took the credit union nearly three years to see any benefits and rewards. Between 2008 and 2011 there were more questions than answers. Is this the right strategy? Do we need to grow this fast? Should we have takena more drastic cost-cutting measure? In 2010 the credit union barely broke even, and in 2011 it took a loss. Times were tough.
To weather the storm, communication was key, if only for the board and management to prepare the staff for an essential salary freeze in 2011.
We explained it’s temporary and eventually we’re all going to reap the rewards of work well done, Hernandez says. We convinced the staff it was the best bet, and they stayed; we basically had no turnover from that.
The staff was wise to hang around because redemption came in 2012. That year Maroon Financial’s loan portfolio took off, growing 40%. As expected, expenses went up too, rising 14% over the same year. Larger volumes result in greater expenses, but,for Maroon Financial, revenues went up even higher: nearly 66% from 2011 to 2012. That year, Maroon Financial’s staff received pay increases in the form of bonuses rather than raises because the credit union was only just emerging from its lossthe year before.
Today, the credit union services nearly every mortgage it originates, and in 2012 it increased net yield per loan to about 1.75 points, generating servicing income in every loan. In fact, Maroon Financial has been so successful at generating income this way that it plans to expand its business by brokering loans for other credit unions.
Although the economic environment is still challenging, Hernandez expects business in 2013 to look a lot like 2012. The credit union’s strategy has worked well so far, and its leadership sees no reason to change course after those stunning returns last year. Plus, the drop in its efficiency ratio will enable Maroon Financial to invest in more new products and expand its enterprise.
One area for investment that the credit union is considering is technology and IT infrastructure. The goal is to create the foundation necessary to bring the credit union’s outsourced services in house.
The initial investment can be daunting, Hernandez says. Among other things, the credit union will need to invest in more servers. In the long run, though, Hernandez expects the move to pay off.
[Misplaced data records]
........
Computed, not measured: 3 unconnected molecules or ions with the total composition C7H16Cl2 in a non-equilibrium geometry, with ωB97M-V/def2-TZVPD.

Gap between HOMO and LUMO (spin up / spin down) in eV: 11.0 / 3.9
Net charge: 0
E_LUMO (spin up / spin down) in Eh: 0.0004 / -0.1409

Last column: Löwdin charge in e.
Geometry (Å):
Cl -1.4199 3.5681 -0.8548  0.031
Cl -0.8331 0.7261 -2.7947  0.316
H -1.0554 0.4839 -1.5230  -0.256
C -1.0043 -0.8089 -0.1476  -0.239
C -1.4063 -2.0249 -0.8384  -0.297
C -2.8116 -2.0221 -1.4927  -0.101
C 0.3808 -0.6384 0.2568  -0.244
C 0.7920 0.8126 0.6649  -0.232
C 2.1887 0.7696 1.2897  -0.289
C 2.6019 2.1652 1.7005  -0.129
H -1.7784 -0.1456 0.2871  0.128
H -0.6363 -2.3177 -1.5748  0.119
H -1.3814 -2.7482 -0.0118  0.120
H -3.0279 -3.0615 -1.7997  0.075
H -3.5674 -1.7021 -0.7852  0.068
H -2.8216 -1.3927 -2.3812  0.043
H 0.4533 -1.2980 1.1339  0.127
H 1.0715 -1.0062 -0.5282  0.130
H 0.7561 1.4666 -0.2043  0.069
H 0.0591 1.2116 1.3784  0.113
H 2.1697 0.0996 2.1489  0.106
H 2.8948 0.3502 0.5646  0.112
H 3.6878 2.0879 2.1855  0.111
H 2.7164 2.8424 0.8637  0.064
H 1.9717 2.5826 2.4626  0.057



Computed, not measured: 2 unconnected molecules or ions with the total composition C7H16IP in a non-equilibrium geometry, with ωB97M-V/def2-TZVPD.

Gap between HOMO and LUMO (spin up / spin down) in eV: 5.4 / 7.1
Net charge: 0
E_LUMO (spin up / spin down) in Eh: 0.0072 / -0.0731
Multiplicity: 3

Last column: Löwdin spin population.
Geometry (Å):
C -3.0956 -0.3525 0.6204  0.035
C 0.7818 -0.7570 0.2828  0.020
C 2.8108 -2.0058 -0.2105  0.001
C -0.5597 2.1765 0.3574  0.855
C -2.6530 0.8785 -0.1957  0.092
C 1.7896 -1.0573 -0.8005  0.002
C -1.7976 1.8098 0.6909  0.795
P 2.6799 0.2877 -1.7643  0.000
I 3.7206 1.4386 0.1167  0.002
H -2.1570 -0.9428 0.7453  0.002
H -3.3874 0.0592 1.5915  0.003
H -3.9171 -0.9918 0.3610  0.004
H 0.5817 -1.5921 0.9494  0.001
H 1.0658 0.1582 0.7088  0.009
H -0.2337 -0.5692 -0.0944  0.004
H 3.2475 -1.6690 0.7541  0.000
H 3.8163 -2.1184 -0.8598  0.000
H 2.4420 -3.0350 -0.2364  0.000
H -0.0898 1.8352 -0.4943  0.054
H 1.5735 1.0970 -1.8642  0.000
H 0.0238 2.6509 1.1508  0.047
H -3.5738 1.4778 -0.5078  0.036
H -2.1063 0.6895 -1.2088  -0.001
H 1.2691 -1.6870 -1.6866  0.000
H -2.2312 2.2188 1.5940  0.038



Computed, not measured: 2 unconnected molecules or ions with the total composition C7H16N, with ωB97M-V/def2-TZVPD.

Gap between HOMO and LUMO (spin up / spin down) in eV: 4.3 / 10.6
Net charge: 0
E_LUMO (spin up / spin down) in Eh: 0.0340 / 0.0311
Multiplicity: 2

Last column: Löwdin spin population.
Geometry (Å):
C 0.9586 -1.3397 -2.8396  0.007
C 0.2156 -0.7423 -1.6876  0.047
C -1.0781 -0.9486 -1.5039  0.157
N -1.8163 -0.2940 -0.4251  0.205
H 0.2919 -1.9064 -3.4860  0.001
H 1.4863 -0.5928 -3.4369  0.003
H 1.7239 -2.0214 -2.4712  0.001
H 0.7804 -0.1800 -0.9536  0.010
H -1.7247 -1.5050 -2.1633  0.034
H -1.2166 0.1403 0.2947  0.030
H -2.4401 0.5020 -0.7958  0.207
H -2.4448 -0.9918 0.0413  0.137
........
[The data records stop here]
We’re planting seeds for the next wave of growth, he says. We can’t just rely on our past success and say,We’ve done a great job,’ and let it be.